Indian and Pakistan Army to participate in TSENTR 2019

## Attached: records of molecules
1.
A structure of composition C27H21CaIN10O4S3 in a non-equilibrium geometry. Source: OMol25; level of theory: wB97M-V/def2-TZVPD.

Atoms and positions in Å:
Ca (-0.30, -0.68, -0.24)
C (-2.98, 3.61, 3.36)
N (-1.53, 3.52, 3.37)
C (-0.68, 4.21, 4.20)
C (0.57, 3.88, 3.87)
N (0.50, 2.97, 2.80)
C (-0.84, 2.73, 2.48)
S (-1.58, 1.80, 1.34)
C (1.67, 2.45, 2.17)
C (2.93, 2.90, 2.58)
C (4.04, 2.44, 1.91)
C (3.88, 1.57, 0.85)
C (2.60, 1.19, 0.53)
N (1.51, 1.60, 1.18)
H (-3.27, 4.37, 4.08)
H (-3.42, 2.65, 3.63)
H (-3.33, 3.87, 2.36)
H (-1.04, 4.89, 4.96)
H (1.49, 4.24, 4.28)
H (3.06, 3.60, 3.40)
H (5.02, 2.78, 2.20)
H (4.72, 1.21, 0.26)
H (2.43, 0.52, -0.31)
S (-1.14, 0.97, -2.36)
C (-0.49, 2.59, -2.58)
C (-1.49, 3.63, -2.80)
N (-2.30, 4.43, -2.97)
C (0.82, 2.93, -2.56)
S (2.17, 1.87, -2.33)
C (1.14, 4.35, -2.76)
N (1.40, 5.46, -2.91)
O (2.77, -3.23, 1.20)
C (1.99, -2.53, 0.57)
O (0.96, -1.91, 1.01)
C (2.25, -2.35, -0.93)
C (3.20, -3.12, -1.56)
C (3.36, -2.97, -2.93)
C (2.59, -2.03, -3.60)
C (1.68, -1.28, -2.89)
N (1.50, -1.44, -1.57)
H (3.77, -3.82, -0.97)
H (4.09, -3.57, -3.47)
H (2.70, -1.87, -4.67)
H (1.07, -0.51, -3.35)
I (-3.78, -3.02, 5.40)
C (-2.75, -2.54, 3.69)
C (-2.55, -3.34, 2.59)
N (-1.85, -2.60, 1.72)
N (-1.57, -1.38, 2.18)
C (-2.12, -1.31, 3.38)
H (-2.85, -4.35, 2.38)
H (-1.56, -2.83, 0.76)
H (-2.06, -0.41, 3.96)
C (-4.84, -1.17, -2.54)
N (-3.67, -2.03, -2.42)
C (-3.25, -2.82, -3.45)
C (-2.11, -3.51, -3.40)
C (-1.25, -3.40, -2.21)
O (-0.22, -4.05, -2.10)
N (-1.67, -2.51, -1.23)
C (-2.87, -1.85, -1.29)
O (-3.24, -1.10, -0.39)
H (-5.48, -1.57, -3.32)
H (-4.54, -0.15, -2.79)
H (-5.37, -1.14, -1.60)
H (-3.91, -2.84, -4.31)
H (-1.79, -4.15, -4.21)

energy above the lowest of the compared OMol25 structures with the same formula, charge and spin: 143.5 kJ/mol
charge: -2

2.
An isolated molecule of C3H3Cl3O in a non-equilibrium geometry. Source: OMol25; level of theory: wB97M-V/def2-TZVPD.

Atoms and positions in Å:
C (-2.03, 0.21, -0.37)
C (-0.85, -0.14, 0.11)
O (0.34, -0.12, -0.55)
C (1.71, -0.12, 0.01)
Cl (2.69, -0.14, -1.38)
Cl (1.97, -1.47, 1.07)
Cl (1.98, 1.44, 1.04)
H (-2.80, 0.25, 0.32)
H (-2.32, 0.50, -1.35)
H (-0.70, -0.42, 1.09)

energy above the lowest of the compared OMol25 structures with the same formula, charge and spin: 137.8 kJ/mol
SMILES: C=COC(Cl)(Cl)Cl
charge: 0

3.
A cluster of 2 separate species, C5H8O2 in total. Source: OMol25; level of theory: wB97M-V/def2-TZVPD.

Atoms and positions in Å:
O (-0.98, 1.82, 0.35)
C (-0.39, 0.77, 0.26)
C (0.80, 0.35, 1.11)
C (1.64, -0.56, 0.19)
C (0.83, -0.66, -1.11)
O (1.28, -0.90, -2.20)
C (-0.61, -0.30, -0.79)
H (1.33, 1.24, 1.47)
H (0.42, -0.19, 1.98)
H (2.64, -0.18, -0.01)
H (1.75, -1.57, 0.60)
H (-1.21, -0.01, -1.65)
H (-1.07, -1.17, -0.29)
H (-3.42, 0.38, 0.05)
H (-2.99, 0.99, 0.05)

energy above the lowest of the compared OMol25 structures with the same formula, charge and spin: 123.8 kJ/mol
SMILES: O=C1CCC(=O)C1.[H][H]
charge: 0

4.

A press release issued by PRO Indian Army said Pakistan too will be part of the 2019 edition of the TSENTR military exercises scheduled between September 9 to September 23, 2019 at Orenburg, Russia
Indian and Pakistan Army to participate in TSENTR 2019

Here the text breaks off for data records
/*
C30H46BrN3P2Ru as an isolated structure in a non-equilibrium geometry. Source: the Open Molecules 2025 dataset; level of theory: wB97M-V/def2-TZVPD.

Summary:
- HOMO energy (alpha / beta): -18.41 / -18.43 eV
- HOMO-LUMO gap (alpha / beta): 0.2213 / 0.1642 Ha
- Net charge: +4
- Calculated total energy: -127484.3607 eV
- Spin multiplicity: 5
- Expectation value of S²: 6.079

Structure (XYZ):
```
83
Properties=species:S:1:pos:R:3:forces:R:3:mulliken_spin:R:1
N -5.9750 4.1524 -5.3318 1.98 -2.16 3.01 0.9064
C -5.9612 4.5921 -4.0738 -1.01 1.53 0.04 -0.0180
C -5.2759 3.9381 -3.0513 0.44 -0.78 -0.70 0.2188
C -4.5077 2.7727 -3.3554 -0.31 -0.06 -0.61 0.0419
C -4.6073 2.2829 -4.7024 -0.26 1.04 0.49 0.2143
C -5.3490 3.0170 -5.6366 -0.08 -0.47 -1.77 -0.0328
C -3.6073 2.1807 -2.4006 -1.02 0.37 -0.30 0.3819
Ru -1.9157 0.3871 -1.1088 1.36 1.80 1.49 1.0784
P 4.2486 -0.6698 -0.7355 -0.50 1.56 -0.40 0.6601
C -2.5772 1.2341 -2.7867 0.33 0.31 -1.14 -0.0633
C -1.1609 1.7287 -2.6833 -0.31 1.01 -1.46 0.0842
C -0.1787 1.3103 -3.6399 -0.27 -0.34 0.57 0.0196
C 1.1068 1.8136 -3.5806 0.76 0.10 -0.78 0.0248
C 1.4563 2.9818 -2.8528 -2.07 -1.96 1.61 -0.0174
C 0.4646 3.4055 -1.9277 -0.08 0.52 -0.26 0.0046
C -0.8457 2.9016 -1.9205 0.80 -0.45 -0.27 -0.0156
Br 3.1581 3.6778 -2.8532 0.03 0.21 -0.21 -0.0010
H -3.6831 2.5083 -1.3527 0.08 0.14 -0.45 0.0175
H -2.7595 0.6109 -3.6673 -0.16 0.29 0.10 0.0475
H -5.2864 4.3424 -2.0422 -0.17 0.15 -0.30 0.0140
H -4.1044 1.3681 -5.0314 -0.38 0.53 -0.05 0.0314
H -6.5004 5.5135 -3.8643 -0.03 -0.02 0.00 0.0245
H -5.4159 2.6792 -6.6748 -0.03 0.03 0.21 0.0242
H -0.5149 0.6357 -4.4509 0.63 -0.04 0.77 -0.0033
H -1.6714 3.4616 -1.4688 0.63 -0.29 0.45 -0.0135
H 1.9099 1.2984 -4.1064 -0.34 0.40 -0.56 -0.0018
H 0.7372 4.1750 -1.2226 -0.17 0.45 -0.13 0.0014
P -1.1663 -1.6266 -1.5688 0.09 -2.26 -0.41 -0.0671
C 4.7560 1.0756 -0.6124 0.72 -0.03 0.50 0.0505
C 6.2153 1.3436 -1.0115 0.33 0.15 -0.12 0.0168
H 4.6085 1.3577 0.4411 0.01 -0.03 -0.26 -0.0045
H 4.0626 1.6621 -1.2388 0.07 -0.35 0.22 0.0382
H 6.4502 2.4062 -0.8677 -0.10 -0.28 -0.02 0.0002
H 6.9098 0.7665 -0.3877 -0.19 0.16 -0.15 -0.0059
H 6.4238 1.1042 -2.0622 -0.13 0.01 0.23 -0.0001
C 3.6050 -0.8892 -2.4197 0.05 -0.55 0.00 0.0869
C 4.5874 -1.7394 -3.2385 0.14 -0.24 -0.32 0.0387
H 3.4757 0.1140 -2.8501 0.09 -0.20 0.18 0.0087
H 2.6249 -1.3801 -2.3409 0.28 0.12 -0.04 -0.0186
H 4.2484 -1.8326 -4.2733 0.04 0.05 0.13 -0.0016
H 5.5923 -1.3035 -3.2548 -0.20 -0.02 -0.01 -0.0010
H 4.6747 -2.7497 -2.8255 -0.03 0.17 -0.06 0.0002
C 3.0773 -0.9619 0.5985 -0.11 -0.55 0.09 0.0777
C 3.8090 -1.6329 1.7832 0.11 -0.10 0.31 0.0231
H 2.2684 -1.5988 0.2121 0.21 0.16 0.11 -0.0108
H 2.6766 0.0220 0.8748 -0.07 -0.19 -0.08 0.0351
H 3.1212 -2.2700 2.3464 0.13 0.13 -0.09 0.0023
H 4.6432 -2.2574 1.4369 -0.27 0.05 0.19 -0.0057
H 4.2164 -0.8884 2.4749 -0.05 -0.13 -0.18 -0.0001
C -0.5702 -2.7360 -0.2194 0.30 0.72 0.80 0.0129
C -1.3293 -4.0412 -0.0056 -0.22 -0.24 0.04 -0.0008
H -0.5730 -2.1305 0.6949 0.05 -0.27 0.02 -0.0035
*/
End of the data records

New Delhi: This is an interesting piece of news amid tensions between India and Pakistan over the abrogation of article 370 in Kashmir. The Indian army is going to take part in Tsentr 2019. Pakistan too has got an invitation from Russia and so the Pakistan contingent will also be a part of it. But the recent tensions between India and Pakistan has made for interesting dynamics at one of the biggest multinational military exercise event.

Exercise Tsentr 2019

Exercise Tsentr 2019 is part of the annual series of large scale Russian Armed Forces' annual training cycle. The series rotates through the four main Russian operational strategic commands. Russia holds a major military exercise every year at one of it’s four military Commands, Vostok (East), Zapad (West), TSENTR (Centre) and Kavkas (South). This year the exercise is planned between September 9 to September 23, 2019, at Donguz training ranges, Orenburg, Russia.

Russia invited Pakistan

The exercise used to be conducted by the Russian armed forces alone, but in a sign of its expansion, Russia invited China to join in 2018. That joint exercise ended up being of the biggest multinational military exercises ever in which a total of about 300,000 troops took part. This time Russia invited India to be a part of the mega drill which New Delhi readily accepted. Apart from India, military contingents from China, Pakistan, Kazakhstan, Kyrgyzstan, Tajikistan, and Uzbekistan will also take part in this exercise. Now in the changed environment of strategic affairs between India and Pakistan it has become very interesting to see how the things turn up.

**Between two parts of the text: molecular data:**
+++
(one)
Density functional theory data (ωB97M-V/def2-TZVPD) for a single H2N2O3 molecule.

Atoms and positions in Å:
N  -1.1479  0.1976  -0.0784
O  -0.1241  -0.6909  0.1464
N  1.2924  0.0697  0.0349
O  1.1526  1.2471  0.0662
O  2.2109  -0.6025  -0.0528
H  -1.5909  -0.0940  -0.8817
H  -1.7930  -0.1270  0.7655

Results
SMILES string = NO[N+](=O)[O-]
highest occupied orbital energy = -0.3868 Eh
LUMO level = 0.78 eV


(two)
Density functional theory data (ωB97M-V/def2-TZVPD) for a single H2N2O3 molecule.

Atoms and positions in Å:
O  -0.9231  -1.5658  -0.8448
N  -1.0550  -0.3460  -0.7302
N  0.1460  0.2525  -0.3485
O  0.8854  -0.5302  0.5147
O  -0.1484  1.4665  0.2434
H  1.7830  -0.5350  0.1282
H  -0.6879  1.2581  1.0372

Results
SMILES string = O=NN(O)O
highest occupied orbital energy = -0.3799 Eh
LUMO level = -0.50 eV


The structure with the greatest stability is (two).


(one)
Density functional theory data (ωB97M-V/def2-TZVPD) for a single C6H7NO3 molecule.

Atoms and positions in Å:
C  -1.5711  1.4392  -1.9488
C  -1.0238  0.1380  -1.8631
C  -1.2547  1.0649  0.4546
C  -0.6962  -0.6909  -0.8731
C  1.9789  -0.2397  0.5177
C  0.6278  -0.4068  1.2027
N  -0.4510  0.0061  0.3160
O  -1.9867  0.4672  -2.8120
O  -0.8843  1.8748  1.4609
O  -0.4211  -2.0189  -0.8901
H  2.0745  -0.9361  -0.3121
H  2.7782  -0.4334  1.2272
H  2.0853  0.7737  0.1353
H  0.5691  0.2212  2.0916
H  0.4694  -1.4533  1.4754
H  -1.5113  2.6075  1.5099
H  -0.7829  -2.4134  -1.6922

Results
highest occupied orbital energy = -0.3029 Eh
LUMO level = 0.44 eV


(two)
Density functional theory data (ωB97M-V/def2-TZVPD) for a single C6H7NO3 molecule.

Atoms and positions in Å:
H  0.0953  -1.8658  -2.6829
N  -0.8199  -1.1492  -2.1656
C  -0.3503  -2.0599  -1.3113
O  -0.9322  -3.2514  -1.1038
C  0.4193  -1.4388  -0.1603
O  1.1046  -2.0574  0.6192
C  0.0018  -0.0055  -0.0169
O  -0.7772  0.3468  -0.9313
C  0.6099  0.9148  0.9437
C  -0.3105  1.8429  1.7203
C  0.5570  2.4031  0.6534
H  -1.1983  -3.6497  -1.9443
H  1.4947  0.5317  1.4530
H  -0.0443  2.0173  2.7622
H  -1.3771  1.7461  1.5133
H  0.0883  2.6988  -0.2860
H  1.4390  2.9761  0.9372

Results
SMILES string = [H]/N=C(/O)C(=O)C(=O)C1CC1
highest occupied orbital energy (alpha / beta) = -0.2788 / -0.2789 Eh
LUMO level (alpha / beta) = -1.22 / -1.22 eV


The structure with the greatest stability is (two).


(one)
Density functional theory data (ωB97M-V/def2-TZVPD) for 2 unconnected molecules or ions with the total composition ClH5N3OP.

Atoms and positions in Å:
N  0.9063  1.4182  -1.0850
N  -1.4013  -0.8733  0.9551
N  0.4710  0.2732  -0.4219
O  -0.0410  1.2715  2.1801
P  -0.4154  0.3642  1.0687
Cl  -1.7711  -3.8439  -0.7173
H  1.8096  1.7453  -0.9928
H  0.2329  2.1566  -1.3435
H  -1.4291  -2.6982  0.0326
H  -1.9116  -0.8872  1.8055
H  -0.1334  -0.2708  -0.9481

Results
highest occupied orbital energy = -0.3813 Eh
LUMO level = -0.51 eV


(two)
+++
**Back to the text:**

Does Russia care about New Delhi's discomfort?

Pakistan has not just vociferously objected to India’s decision of repealing Article 370 but left no stone unturned to internationalise the Kashmir issue. Pakistan PM is still tweeting on a regular basis appealing world community to interfere.  India, on the other hand, has continuously maintained its stand that the Kashmir issue is a bilateral one.

Now with Russia's invitation to Pakistan, it is confirmed that Moscow is taking steps towards increasing closeness with Islamabad. How comfortable will India be with Russia on this and which direction will these dynamics shape up, only time will tell.

Defence Watch